_Input_
'''
# Cs9Fe2S7 | the Materials Project database | PBE-GGA | optimized geometry
data_Cs9Fe2S7
_chemical_formula_sum 'Cs36 Fe8 S28'
_cell_length_a 13.883
_cell_length_b 13.883
_cell_length_c 13.883
_cell_angle_alpha 90.00
_cell_angle_beta 90.00
_cell_angle_gamma 90.00
_space_group_name_H-M_alt 'P 1'
_space_group_IT_number 1
loop_
_space_group_symop_operation_xyz
'x,y,z'
loop_
_atom_site_label
_atom_site_type_symbol
_atom_site_fract_x
_atom_site_fract_y
_atom_site_fract_z
Cs1 Cs 0.003 0.298 0.833
Cs2 Cs 0.042 0.792 0.176
Cs3 Cs 0.059 0.059 0.059
Cs4 Cs 0.085 0.585 0.915
Cs5 Cs 0.167 0.503 0.202
Cs6 Cs 0.176 0.042 0.792
Cs7 Cs 0.202 0.167 0.503
Cs8 Cs 0.208 0.676 0.458
Cs9 Cs 0.237 0.237 0.237
Cs10 Cs 0.263 0.763 0.737
Cs11 Cs 0.292 0.324 0.958
Cs12 Cs 0.298 0.833 0.003
Cs13 Cs 0.324 0.958 0.292
Cs14 Cs 0.333 0.497 0.702
Cs15 Cs 0.415 0.415 0.415
Cs16 Cs 0.441 0.941 0.559
Cs17 Cs 0.458 0.208 0.676
Cs18 Cs 0.497 0.702 0.333
Cs19 Cs 0.503 0.202 0.167
Cs20 Cs 0.542 0.708 0.824
Cs21 Cs 0.559 0.441 0.941
Cs22 Cs 0.585 0.915 0.085
Cs23 Cs 0.667 0.997 0.798
Cs24 Cs 0.676 0.458 0.208
Cs25 Cs 0.702 0.333 0.497
Cs26 Cs 0.708 0.824 0.542
Cs27 Cs 0.737 0.263 0.763
Cs28 Cs 0.763 0.737 0.263
Cs29 Cs 0.792 0.176 0.042
Cs30 Cs 0.798 0.667 0.997
Cs31 Cs 0.824 0.542 0.708
Cs32 Cs 0.833 0.003 0.298
Cs33 Cs 0.915 0.085 0.585
Cs34 Cs 0.941 0.559 0.441
Cs35 Cs 0.958 0.292 0.324
Cs36 Cs 0.997 0.798 0.667
Fe1 Fe 0.071 0.929 0.429
Fe2 Fe 0.100 0.400 0.600
Fe3 Fe 0.400 0.600 0.100
Fe4 Fe 0.429 0.071 0.929
Fe5 Fe 0.571 0.571 0.571
Fe6 Fe 0.600 0.100 0.400
Fe7 Fe 0.900 0.900 0.900
Fe8 Fe 0.929 0.429 0.071
S1 S 0.050 0.320 0.077
S2 S 0.056 0.839 0.912
S3 S 0.077 0.050 0.320
S4 S 0.088 0.556 0.661
S5 S 0.161 0.412 0.444
S6 S 0.180 0.923 0.550
S7 S 0.198 0.302 0.698
S8 S 0.302 0.698 0.198
S9 S 0.320 0.077 0.050
S10 S 0.339 0.588 0.944
S11 S 0.412 0.444 0.161
S12 S 0.423 0.950 0.820
S13 S 0.444 0.161 0.412
'''

_Activity_
Next, give back only the lines earlier on with the word "S7" in them.

_Response_
S7 S 0.198 0.302 0.698